Input.
********
Record 1
Computed, not measured: the molecule C6H10, with ωB97M-V/def2-TZVPD.

The geometry in XYZ format:
```
16
Properties=species:S:1:pos:R:3
C -2.029 1.975 0.329
C -1.242 1.153 0.724
C -0.535 -0.042 1.193
C 0.389 -0.722 0.153
C -0.140 -0.684 -1.283
C 1.783 -0.098 0.201
H -2.811 2.624 0.012
H -1.350 -0.706 1.504
H 0.047 0.163 2.101
H 0.471 -1.774 0.460
H 0.555 -1.216 -1.943
H -0.213 0.349 -1.640
H -1.127 -1.145 -1.389
H 2.206 -0.137 1.211
H 2.469 -0.622 -0.474
H 1.741 0.953 -0.110
```

Results
Total charge = 0
Gap between HOMO and LUMO = 10.92 eV
Relative energy (zero: lowest compared OMol25 entry of this formula, charge and spin) = 34.89 kcal/mol
Structure (SMILES) = C#CCC(C)C
DFT total energy = -234.54692 a.u.
Highest occupied orbital energy = -9.8490 eV

Results of the Mulliken charge analysis, in e, for atoms 1 through 2: atom 1 (C): 0.044, atom 2 (C): -0.587

Record 2
Computed, not measured: C28H37BeN4O3 as an isolated structure, with ωB97M-V/def2-TZVPD.

The geometry in XYZ format:
```
73
Properties=species:S:1:pos:R:3
Be 10.184 -9.264 -14.871
C 12.048 -15.208 -14.755
C 11.067 -14.132 -14.220
O 10.657 -13.041 -14.938
H 12.263 -16.037 -14.081
H 12.954 -14.670 -15.034
H 11.646 -15.548 -15.709
H 11.411 -13.851 -13.225
H 10.169 -14.730 -14.060
N 13.890 -13.963 -20.575
C 14.442 -14.008 -21.805
C 13.751 -14.046 -23.008
C 12.351 -13.967 -22.939
C 11.711 -13.917 -21.721
C 12.489 -13.865 -20.563
H 15.517 -13.938 -21.725
H 14.313 -14.100 -23.929
H 11.755 -13.901 -23.837
H 10.641 -13.879 -21.581
H 12.078 -13.707 -19.577
N 6.551 -15.329 -18.875
C 5.304 -15.614 -19.260
C 4.476 -16.427 -18.606
C 4.966 -17.005 -17.468
C 6.258 -16.690 -16.987
C 7.010 -15.798 -17.696
H 4.970 -15.080 -20.137
H 3.473 -16.673 -18.921
H 4.381 -17.706 -16.891
H 6.638 -17.073 -16.051
H 8.014 -15.643 -17.328
N 11.121 -8.971 -11.155
C 12.195 -9.543 -10.489
C 12.371 -9.417 -9.124
C 11.485 -8.590 -8.333
C 10.494 -7.967 -9.010
C 10.416 -8.102 -10.373
H 12.894 -10.163 -11.030
H 13.209 -9.961 -8.715
H 11.801 -8.538 -7.302
H 9.721 -7.342 -8.588
H 9.634 -7.593 -10.917
N 6.613 -9.875 -13.612
C 5.680 -8.871 -13.554
C 4.531 -9.021 -12.761
C 4.240 -10.250 -12.242
C 5.106 -11.283 -12.326
C 6.281 -11.072 -13.058
H 5.876 -7.948 -14.080
H 3.885 -8.167 -12.621
H 3.344 -10.320 -11.643
H 4.769 -12.205 -11.875
H 7.052 -11.813 -13.209
C 14.889 -19.476 -12.855
C 14.259 -19.037 -11.493
O 13.749 -19.874 -10.735
C 14.283 -17.573 -10.964
H 14.516 -18.933 -13.723
H 14.824 -20.564 -12.885
H 15.905 -19.090 -12.772
H 13.478 -17.375 -10.257
H 14.072 -16.942 -11.827
H 15.293 -17.433 -10.577
C 16.235 -9.330 -14.437
C 15.211 -10.317 -14.943
O 13.969 -10.171 -14.734
C 15.665 -11.270 -16.034
H 16.391 -9.688 -13.419
H 15.772 -8.344 -14.481
H 17.199 -9.387 -14.941
H 16.438 -10.832 -16.665
H 14.864 -11.558 -16.715
H 16.193 -12.137 -15.638
```

Results
Total charge = +1
********

Job.
Could you say how many lines of the lines further above hold the word "an", as a bare number?

Solution.
1